Why as a business owner you might want a prenup before tying the knot

********
{"formula": "C27H32ClN5O2S", "method": "ωB97M-V with the def2-TZVPD basis set", "species": ["C", "C", "N", "N", "C", "C", "C", "C", "C", "C", "C", "Cl", "C", "C", "N", "C", "C", "C", "S", "O", "O", "N", "C", "C", "C", "C", "C", "C", "C", "C", "N", "C", "C", "C", "C", "C", "H", "H", "H", "H", "H", "H", "H", "H", "H", "H", "H", "H", "H", "H", "H", "H", "H", "H", "H", "H", "H", "H", "H", "H", "H", "H", "H", "H", "H", "H", "H", "H"], "xyz": [[-1.77, 4.74, 0.56], [-1.58, 3.30, 0.89], [-1.20, 2.90, 2.08], [-1.10, 1.57, 2.05], [-0.71, 0.88, 3.21], [-1.01, 1.45, 4.44], [-0.62, 0.82, 5.60], [0.08, -0.38, 5.55], [0.39, -0.93, 4.32], [0.01, -0.31, 3.15], [-1.42, 1.10, 0.81], [-1.56, -0.55, 0.44], [-1.75, 2.19, 0.02], [-2.17, 2.24, -1.37], [-1.85, 1.48, -2.33], [-0.83, 0.55, -2.30], [0.39, 0.91, -1.72], [1.48, 0.08, -1.79], [2.97, 0.62, -0.98], [4.09, -0.13, -1.48], [3.03, 2.05, -1.03], [2.60, 0.18, 0.61], [2.90, 1.17, 1.62], [4.39, 1.18, 1.98], [4.81, -0.21, 2.43], [4.51, -1.22, 1.33], [3.02, -1.16, 0.97], [1.39, -1.14, -2.44], [0.20, -1.51, -3.02], [-0.94, -0.69, -2.99], [-2.10, -1.05, -3.63], [-2.15, -2.17, -4.54], [-2.58, -3.46, -3.83], [-3.95, -3.24, -3.19], [-3.91, -2.01, -2.29], [-3.41, -0.79, -3.07], [-1.59, 5.34, 1.45], [-1.06, 5.04, -0.21], [-2.78, 4.92, 0.20], [-1.54, 2.39, 4.46], [-0.86, 1.27, 6.56], [0.38, -0.87, 6.46], [0.94, -1.86, 4.27], [0.28, -0.73, 2.19], [-2.87, 3.04, -1.61], [0.51, 1.87, -1.26], [2.60, 2.14, 1.22], [2.30, 0.95, 2.51], [4.95, 1.47, 1.09], [4.57, 1.92, 2.76], [5.88, -0.22, 2.67], [4.27, -0.48, 3.34], [5.09, -0.99, 0.44], [4.76, -2.23, 1.66], [2.81, -1.80, 0.11], [2.42, -1.49, 1.82], [2.26, -1.78, -2.49], [0.15, -2.46, -3.52], [-1.19, -2.29, -5.03], [-2.89, -1.93, -5.31], [-2.62, -4.28, -4.54], [-1.85, -3.71, -3.05], [-4.25, -4.12, -2.62], [-4.69, -3.09, -3.98], [-4.90, -1.81, -1.88], [-3.23, -2.20, -1.45], [-3.38, 0.08, -2.43], [-4.10, -0.58, -3.89]], "homo_energy_ev": -7.6, "smiles": "Cc1nn(-c2ccccc2)c(Cl)c1/C=N\\c1cc(S(=O)(=O)N2CCCCC2)ccc1N1CCCCC1"}
********

Why as a business owner you might want a prenup before tying the knot

Marriage is a very powerful and wonderful thing. When you’re with the one you love, nothing feels impossible. But, as terrible as it sounds, divorce is possible. No one goes into a marriage thinking about when it will end, but it happens. In fact, 38% of marriages end in divorce in Canada, and due to the pandemic this year, that number is likely to increase. That is why it’s a good thing to think about a prenuptial agreement before you get married. As we’ve discussed in earlier blogs, a prenup has a bad reputation of being a signal that you don’t ‘trust’ your partner, when in reality a prenup is a great way to protect both of you in case your marriage takes a turn for the worst. Particularly if you or your partner own a business, it’s almost necessary to have a prenup prepared – and this is why.

Your business is an asset

If you are a business owner, it’s important to remember that your business is considered an asset, just like anything else you own. Having a prenup, it can help you protect your business from financial ruin. A business is an asset like a car or a house, but the challenge is determining the value of it. At Galbraith Family Law, if it’s necessary, we can engage in hiring a business valuator to determine the value of the business so that your spouse can be paid off in the event you separate. The business valuator considers the assets and debts of the business, the cash flow and profitability, and the ability to sell the business. It can be a complicated calculation, which is why we recommend leaving it to the pros and to save yourself a lot of time and financial stress in the long run in case your marriage does end in divorce.

Think about retained earnings.

An issue with some business owners is retained earnings. This profit is generated by the business but not distributed to the shareholders. The profit just stays in the business. The challenge is that if you are paying spousal support, your ex may claim that these retained earnings should be considered income for support purposes resulting in you having to possibly pay more spousal support each month. The issue is whether there is a good business reason for keeping profits in a corporation or not. For example, if there is an anticipated need to replace equipment or other capital investments to be made in the foreseeable future, then the retained earnings should not be viewed as income for the business owner. On the other hand, if the only reason the retained income is still in the business is to minimize the personal income taxes that the business owner would have to pay, then the retained income may be seen as income for the purposes of setting spousal support. If retained earnings are considered income, they would be added to the business owner’s actual income statement and they would have to pay more spousal support each month as outlined in their agreement.

So, how does a prenup help protect each party?

As a business owner or person of wealth in general a prenuptial agreement allows you to outline what is included to be divided equally if the marriage ends in a divorce and what does not get included. A good example of this is in second or third marriages. Say you remarry at the age of 50 and at that point in your life you’ve run your own business very profitably to this point and it has a very nice valuation. Your plan is to pass this business on to your two daughters who will take over the business once you retire. To ensure that can happen without any muddy waters if you were to divorce your new partner, you could include in your prenup that the business is not to be included in any way as a financial asset that would be split if you were to divorce.

If you currently planning an upcoming wedding and would like to get a prenup to protect your business and other assets, we can help you at Galbraith Family Law. We have represented many clients who own their own business or even multiple businesses, and with our experience and expertise, we can show you what you can do to protect your assets and financial wellbeing ‘til death do us part. Give us a call to get started and we will schedule a consultation for you with one of our knowledgeable lawyers as soon as possible.


